The PUMP life is hard...
**Misplaced data records:**
-- begin --
[1]
Density functional theory data (PBE+U) for a relaxed structure of KNbV2O8.

The structure in extended XYZ format:
```
48
Lattice="5.682 0.000 0.000 0.000 8.707 0.000 0.000 0.000 15.202" Properties=species:S:1:pos:R:3 pbc="T T T"
V 1.421 4.464 11.968
V 4.262 6.883 7.160
V 4.262 4.244 3.234
V 1.421 2.529 0.441
V 1.421 1.824 8.042
V 4.262 6.178 14.761
V 4.262 0.110 10.835
V 1.421 8.597 4.367
Nb 1.421 6.008 1.769
Nb 4.262 1.654 5.832
Nb 1.421 7.053 9.370
Nb 4.262 2.700 13.432
O 4.262 8.605 6.816
O 0.039 7.828 10.634
O 1.421 2.713 9.425
O 0.039 5.233 3.033
O 4.262 7.067 13.378
O 5.676 6.367 8.149
O 1.421 5.367 10.405
O 4.262 5.994 5.777
O 4.262 1.014 12.398
O 0.006 2.340 7.053
O 1.421 0.103 8.386
O 2.881 0.880 4.568
O 2.835 2.340 7.053
O 4.262 4.456 14.417
O 5.676 6.694 0.548
O 4.262 1.228 9.633
O 5.643 3.474 12.169
O 1.421 1.640 1.824
O 5.643 0.880 4.568
O 0.006 2.013 14.654
O 2.881 3.474 12.169
O 1.421 7.480 5.568
O 4.262 3.126 2.032
O 2.848 6.367 8.149
O 4.262 3.340 4.797
O 2.802 7.828 10.634
O 1.421 5.582 13.169
O 2.802 5.233 3.033
O 1.421 7.694 2.804
O 1.421 4.251 0.785
O 2.835 2.013 14.654
O 2.848 6.694 0.548
K 1.421 4.795 5.691
K 4.262 3.912 9.511
K 1.421 8.266 13.292
K 4.262 0.442 1.910
```

Properties
SG: No. 62

=====

[2]
Density functional theory data (PBE+U) for a relaxed structure of Ba2MgMnO4.

The structure in extended XYZ format:
```
8
Lattice="-8.770 -1.271 4.723 -6.555 3.623 6.689 6.332 0.263 -7.790" Properties=species:S:1:pos:R:3 pbc="T T T"
Ba -4.097 1.864 -0.022
Ba -4.895 0.751 3.646
O -1.219 -0.504 -1.533
O 3.398 0.714 -5.605
O -12.390 1.901 9.228
O -0.111 1.943 -0.550
Mg -7.662 1.176 5.706
Mn 0.000 0.000 0.000
```

Properties
SG: No. 139

=====

[3]
Density functional theory data (PBE+U) for a relaxed structure of CaFeGe2O6.

The structure in extended XYZ format:
```
40
Lattice="-0.391 1.833 5.186 7.033 -5.537 5.163 6.446 6.295 -1.687" Properties=species:S:1:pos:R:3 pbc="T T T"
O 8.727 4.146 0.342
O 9.266 -0.443 6.243
O 11.835 1.950 6.374
O 4.174 -0.137 2.233
O 5.675 4.673 1.194
O 10.917 0.235 3.977
O 4.066 4.362 4.894
O 7.991 1.014 4.030
O 2.171 2.356 4.687
O 9.021 -1.770 3.767
O 7.115 3.835 4.043
O 2.524 -0.821 4.504
O 6.601 0.753 6.904
O 6.302 6.667 3.484
O 5.978 -1.244 4.623
O 6.486 1.838 1.753
O 6.787 -4.076 5.179
O 1.254 0.641 2.288
O 8.916 2.731 6.430
O 4.363 -1.554 8.320
O 10.565 3.412 4.158
O 7.413 -2.081 7.469
O 3.822 3.033 2.419
O 5.092 1.574 4.636
Ca 4.497 -0.153 6.149
Ca 8.590 2.742 2.513
Ca 4.200 5.760 2.724
Ca 8.888 -3.169 5.938
Ge 5.556 -2.928 4.700
Ge 7.534 5.519 3.963
Ge 2.542 -0.455 2.717
Ge 7.829 -0.397 7.388
Ge 9.284 -0.077 4.456
Ge 10.548 3.047 5.946
Ge 5.258 2.989 1.274
Ge 3.804 2.668 4.207
Fe 7.035 2.326 5.472
Fe 0.292 1.940 3.733
Fe 12.797 0.650 4.931
Fe 6.050 0.264 3.192
```

Properties
SG: No. 2

=====

[4]
Density functional theory data (PBE+U) for a relaxed structure of BaEuSnWO6.

The structure in extended XYZ format:
```
20
-- stop --
When we think of breastfeeding, we probably all think of the same image, right? The baby latched on to its mother’s boob, suckling away. But what if I told you that wasn’t the only way to breastfeed? What if I told you there were actually many other ways to breastfeed your baby, including the method I chose- Exclusive Expressing/Pumping.
I stumbled onto EP by accident really, I had no idea that it was a viable feeding option, much less a conscious decision that many parents made. When my son was born in March 2020 (remember that absolutely insane month?) we were right at the start of the lockdown, in the tight restrictions that stopped any medical professionals visiting us at home. I was struggling with severely cracked nipples, a blocked duct, mastitis, and what was later confirmed to be (at the ripe old age of 2), a baby with a tongue tie. All on my own. As much as I tried to muddle through, without that practical hands on support, a nursing journey was off the table for me- my mental health was more important, and it was in danger of slipping with every feed. So I started supplementing with pumped milk until eventually, I found I was pumping every feed. And the world didn’t end, my kid was utterly thriving, and he was still receiving breast milk. It was always so important to me that I do everything in my power to have a breastfeeding journey, but I always maintained that it would never be at the expense of my mental or physical health- so I was really pleased to have discovered this alternative method.
And while it worked really well for us, don’t get me wrong- the pump life is HARD. Your life is now consumed by schedules and quantities of milk, fitting the pump into your life without letting it take over is a fine art and not one that I always got right. I often say that the EP life is all the worst bits of nursing and formula feeding combined- you still deal with cracked nipples, milk quality, and supply dips, but now you’re also dealing with sterilising and pace feeding too. But it’s not without its benefits.I loved knowing how much my son had had to drink, and feeling secure that I was making enough to meet his needs. I also loved that I could stop pumping when he turned a year, but had built a strong enough freezer stash to feed him breast milk up until 18 months old. Yes I had to pump in some strange places- a beach hut, the table at Pizza Express, and even the steps of the statue opposite Buckingham Palace- and I’ve found myself defending my choice more often than I’d have liked, but ultimately, I didn’t care. I made a choice for my family, and it was 100% the correct one. If you’d like to ask me anything more about my journey or for any pump life advice, you can find me at @the.confidentmama- I love answering questions!![]()